ln re Lister, appeal no. 2009-1060 (Fed. Cir, Sept. 22, 2009) (link at bottom) the panel found that a manuscript by the inventor, “Advanced Handicap Alternatives for Golf” which he had sent into the Copyright Office some time prior to filing a patent application on his “method for playing an organized game of golf,” was sufficiently publicly accessible to qualify as a printed publication. The panel found that, while the Copyright Office’s catalog was not adequately searchable, the automated data had been entered into the Westlaw and Dialog databases. Unlike the Copyright Office “automated catalog,” these databases are keyword searchable, and that fact was sufficient for the court to hold that the manuscript was a printed publication under 102(b).
Next to the page, the page also holds records of crystals:
~~~
# 1
FeAs2H3OF13 | GGA+U | relaxed

POSCAR file:
```
FeAs2H3OF13
1.0
14.306 0.000 0.000
0.000 7.312 0.000
0.000 0.000 10.638
Fe As H O F
4 8 12 4 52
direct
0.000 0.000 0.000 Fe
0.000 0.500 0.000 Fe
0.500 0.000 0.500 Fe
0.500 0.500 0.500 Fe
0.103 0.250 0.272 As
0.136 0.250 0.754 As
0.364 0.750 0.254 As
0.397 0.750 0.772 As
0.603 0.250 0.228 As
0.636 0.250 0.746 As
0.864 0.750 0.246 As
0.897 0.750 0.728 As
0.105 0.638 0.491 H
0.105 0.862 0.491 H
0.190 0.750 0.427 H
0.310 0.250 0.927 H
0.395 0.138 0.991 H
0.395 0.362 0.991 H
0.605 0.638 0.009 H
0.605 0.862 0.009 H
0.690 0.750 0.073 H
0.810 0.250 0.573 H
0.895 0.138 0.509 H
0.895 0.362 0.509 H
0.142 0.750 0.499 O
0.358 0.250 0.999 O
0.642 0.750 0.001 O
0.858 0.250 0.501 O
0.018 0.250 0.711 F
0.020 0.750 0.726 F
0.048 0.750 0.007 F
0.100 0.077 0.150 F
0.100 0.423 0.150 F
0.103 0.077 0.389 F
0.103 0.423 0.389 F
0.113 0.080 0.874 F
0.113 0.420 0.874 F
0.164 0.077 0.649 F
0.164 0.423 0.649 F
0.224 0.250 0.264 F
0.244 0.750 0.308 F
0.256 0.250 0.808 F
0.276 0.750 0.764 F
0.336 0.577 0.149 F
0.336 0.923 0.149 F
0.387 0.580 0.374 F
0.387 0.920 0.374 F
0.397 0.577 0.889 F
0.397 0.923 0.889 F
0.400 0.577 0.650 F
0.400 0.923 0.650 F
0.452 0.250 0.507 F
0.480 0.250 0.226 F
0.482 0.750 0.211 F
0.518 0.250 0.789 F
0.520 0.750 0.774 F
0.548 0.750 0.493 F
0.600 0.077 0.350 F
0.600 0.423 0.350 F
0.603 0.077 0.111 F
0.603 0.423 0.111 F
0.613 0.080 0.626 F
0.613 0.420 0.626 F
0.664 0.077 0.851 F
0.664 0.423 0.851 F
0.724 0.250 0.236 F
0.744 0.750 0.192 F
0.756 0.250 0.692 F
0.776 0.750 0.736 F
0.836 0.577 0.351 F
0.836 0.923 0.351 F
0.887 0.580 0.126 F
0.887 0.920 0.126 F
0.897 0.577 0.611 F
0.897 0.923 0.611 F
0.900 0.577 0.850 F
0.900 0.923 0.850 F
0.952 0.250 0.993 F
0.980 0.250 0.274 F
0.982 0.750 0.289 F
```

**MP2020-corrected energy**: -410.40 eV/cell
**Energy of formation from the pure elements**: -44.8 eV per formula unit
**Total magnetization**: 4.0 μB/f.u.

# 2
Ba4La4Co8O17 | GGA+U | relaxed

POSCAR file:
```
Ba4La4Co8O17
1.0
7.983 0.000 0.000
0.000 15.595 0.000
-0.002 0.000 16.327
Ba La Co O
16 16 32 68
direct
0.000 0.000 0.000 Ba
0.000 0.000 0.500 Ba
0.000 0.500 0.000 Ba
0.000 0.500 0.500 Ba
0.006 0.007 0.250 Ba
0.006 0.493 0.750 Ba
0.493 0.504 0.750 Ba
0.493 0.996 0.250 Ba
0.500 0.000 0.000 Ba
0.500 0.000 0.500 Ba
0.500 0.500 0.000 Ba
0.500 0.500 0.500 Ba
0.507 0.004 0.750 Ba
0.507 0.496 0.250 Ba
0.994 0.507 0.250 Ba
0.994 0.993 0.750 Ba
0.001 0.739 0.494 La
0.001 0.761 0.994 La
0.005 0.746 0.756 La
0.005 0.754 0.256 La
0.496 0.248 0.256 La
0.496 0.252 0.756 La
0.500 0.239 0.994 La
0.500 0.261 0.494 La
0.500 0.739 0.506 La
0.500 0.761 0.006 La
0.504 0.748 0.244 La
0.504 0.752 0.744 La
0.995 0.246 0.744 La
0.995 0.254 0.244 La
0.999 0.239 0.006 La
0.999 0.261 0.506 La
0.236 0.123 0.622 Co
0.236 0.377 0.122 Co
0.237 0.627 0.881 Co
0.237 0.873 0.381 Co
0.247 0.135 0.871 Co
0.247 0.365 0.371 Co
0.250 0.126 0.125 Co
0.250 0.374 0.625 Co
0.250 0.625 0.627 Co
0.250 0.875 0.127 Co
0.254 0.638 0.372 Co
~~~
The page goes on:
However, the court ultimately reversed and remanded, holding that the Examiner and the Board had not presented sufficient evidence as to when the manuscript was available to the interested public, i.e. when it was “listed” in either the Westlaw or Dialog databases. The court found the failure of proof analogous to the (improper) use by an Examiner of an “undated reference” that discloses a claimed inventor as prior art against the claims.
1.
Material: Ca4Sn5S14
Method: DFT, GGA-PBE
State: relaxed

POSCAR file:
```
Ca4Sn5S14
1.0
11.2669 3.4411 -7.9356
-2.7579 -12.6214 -9.3886
-12.7811 12.3180 -12.8050
Sn S Ca
40 112 32
Direct
0.8299 0.0712 0.3434
0.6701 0.0712 0.8434
0.3796 0.5646 0.4807
0.1066 0.1100 0.8541
0.6782 0.5740 0.3536
0.8934 0.3900 0.3541
0.1782 0.9260 0.3536
0.1171 0.5938 0.2963
0.3829 0.5938 0.7963
0.6782 0.0740 0.1464
0.3829 0.0938 0.7037
0.3299 0.9288 0.1566
0.1171 0.0938 0.2037
0.8796 0.4354 0.0193
0.6204 0.9354 0.9807
0.8796 0.9354 0.4807
0.1204 0.0646 0.5193
0.6171 0.4062 0.2037
0.1701 0.9288 0.6566
0.6171 0.9062 0.2963
0.6066 0.3900 0.8541
0.8934 0.8900 0.1459
0.8218 0.5740 0.8536
0.3934 0.1100 0.3541
0.3218 0.4260 0.6464
0.8829 0.9062 0.7963
0.1204 0.5646 0.9807
0.8299 0.5712 0.1566
0.3218 0.9260 0.8536
0.6701 0.5712 0.6566
0.3934 0.6100 0.1459
0.1782 0.4260 0.1464
0.6066 0.8900 0.6459
0.3796 0.0646 0.0193
0.1066 0.6100 0.6459
0.8829 0.4062 0.7037
0.8218 0.0740 0.6464
0.6204 0.4354 0.5193
0.1701 0.4288 0.8434
0.3299 0.4288 0.3434
0.2414 0.5709 0.8798
0.7504 0.2014 0.6126
0.6678 0.0545 0.2540
0.8322 0.5545 0.7460
0.7586 0.9291 0.3798
0.9676 0.5709 0.0676
0.4566 0.9662 0.3498
0.0324 0.4291 0.9324
0.7414 0.4291 0.6202
0.7132 0.6301 0.0668
0.2414 0.0709 0.6202
0.4906 0.3171 0.7760
0.0345 0.6772 0.5572
0.5324 0.0709 0.9324
0.0345 0.1772 0.9428
0.4869 0.8753 0.8934
0.2504 0.5199 0.0728
0.9869 0.1247 0.6066
0.5131 0.6247 0.3934
0.2496 0.5199 0.5728
0.7496 0.2014 0.1126
0.5094 0.6829 0.2240
0.7414 0.9291 0.8798
0.9859 0.7559 0.8890
0.1678 0.9455 0.2460
0.4906 0.8171 0.7240
0.2995 0.2447 0.9658
0.5094 0.1829 0.2760
0.2005 0.7447 0.0342
0.9655 0.8228 0.0572
0.9906 0.1829 0.7760
0.9502 0.1942 0.2801
0.0141 0.2441 0.1110
0.4502 0.8058 0.2199
0.2496 0.2986 0.1126
0.7995 0.2553 0.9658
0.5434 0.5338 0.8498
0.2995 0.7447 0.5342
0.7005 0.7553 0.0342
0.7456 0.3366 0.7974
0.2868 0.3699 0.9332
0.4566 0.4662 0.1502
0.2496 0.7986 0.3874
0.2868 0.8699 0.5668
0.7544 0.8366 0.2026
0.7496 0.4801 0.9272
0.2544 0.1634 0.2974
0.0434 0.4662 0.6502
0.5345 0.3228 0.9428
0.3322 0.9455 0.7460
0.0141 0.7441 0.3890
0.2456 0.1634 0.7974
0.4655 0.6772 0.0572
0.0131 0.8753 0.3934
0.2586 0.5709 0.3798
0.9502 0.6942 0.2199
0.2496 0.0199 0.9272
0.0094 0.3171 0.2760
0.7868 0.1301 0.9332
0.7504 0.9801 0.0728
0.7496 0.7014 0.3874
0.7586 0.4291 0.1202
0.4869 0.3753 0.6066
0.5434 0.0338 0.6502
0.2504 0.0199 0.4272
0.2504 0.2986 0.6126
0.4676 0.4291 0.4324
0.0498 0.8058 0.7199
0.2005 0.2447 0.4658
0.9676 0.0709 0.4324
0.7132 0.1301 0.4332
0.4655 0.1772 0.4428
0.0324 0.9291 0.5676
0.2132 0.8699 0.0668
0.2544 0.6634 0.2026
0.5498 0.1942 0.7801
0.7504 0.4801 0.4272
0.7868 0.6301 0.5668
0.4502 0.3058 0.2801
0.5141 0.2559 0.1110
0.4676 0.9291 0.0676
0.4859 0.2441 0.6110
0.2504 0.7986 0.8874
0.9566 0.0338 0.1502
0.9655 0.3228 0.4428
0.0131 0.3753 0.1066
0.9906 0.6829 0.7240
0.4859 0.7441 0.8890
0.5324 0.5709 0.5676
0.2586 0.0709 0.1202
0.7504 0.7014 0.8874
0.5131 0.1247 0.1066
0.0434 0.9662 0.8498
Probably of lower importance, but still interesting, is whether or not the claim to this “method” of playing a game would be patent-eligible under the Bilski “machine or transformation” test. The only step in the independent claim given in the opinion that is not a data gathering step that could be performed in the mind of the player (recording strokes and comparing numbers of strokes) is the step of giving the players permission “to raise or tee the ball up above turf level at any time during play” (not just at the first stroke of each hole, but not on the green or in “designated hazard areas”). I don’t see any matter being transformed into another state by letting players tee up the ball throughout the game (in fact, smooth turf is more likely to stay smooth). I also don’t see that the game is tied to any particular machine. A golf tee is a machine (a platform), I guess, but there are probably many different styles of golf tee that could (and probably have) been devised over the years. The claim does not positively recite that the ball is stroked and, in any case, does not say what it is hit with. Patentable subject matter? I think not!
/*
(1)
## Ti16CuS32 (PBE)

Data for a relaxed Ti16CuS32 crystal.

Calculated values
corrected total energy (MP2020 scheme)	-338.94	eV/cell
density	3.2	g cm⁻³

abc: 23.1575 23.1575 23.1575
angles: 17.35 17.35 17.35
Sites, in units of the cell vectors:
1 S 0.4383 0.4383 0.4383
2 S 0.8041 0.3162 0.3162
3 Ti 0.1232 0.1232 0.6269
4 Ti 0.3753 0.8743 0.3753
5 S 0.0552 0.5657 0.5657
6 S 0.5657 0.5657 0.0552
7 Ti 0.8743 0.3753 0.3753
8 S 0.4339 0.4339 0.9462
9 Ti 0.6245 0.1265 0.6245
10 S 0.3113 0.3113 0.3113
11 Ti 0.9984 0.9984 0.9984
12 Ti 0.1232 0.6269 0.1232
13 Ti 0.1265 0.6245 0.6245
14 Cu 0.3438 0.3438 0.3438
15 Ti 0.7510 0.7510 0.7510
16 S 0.6884 0.6884 0.6884
17 Ti 0.3825 0.8725 0.8725
18 Ti 0.8725 0.8725 0.3825
19 S 0.3162 0.3162 0.8041
20 S 0.7020 0.1808 0.1808
21 Ti 0.6245 0.6245 0.1265
22 S 0.9332 0.4463 0.9332
23 S 0.0667 0.0667 0.5537
24 S 0.5537 0.0667 0.0667
25 S 0.3162 0.8041 0.3162
26 S 0.1884 0.1884 0.1884
27 S 0.8166 0.3038 0.8166
28 S 0.5657 0.0552 0.5657
29 S 0.8116 0.8116 0.8116
30 S 0.4463 0.9332 0.9332
31 S 0.0667 0.5537 0.0667
32 Ti 0.3753 0.3753 0.8743
33 S 0.1961 0.6836 0.6836
34 Ti 0.8725 0.3825 0.8725
35 S 0.9381 0.9381 0.9381
36 Ti 0.6269 0.1232 0.1232
37 S 0.5617 0.5617 0.5617
38 S 0.0615 0.0615 0.0615
39 S 0.6836 0.1961 0.6836
40 S 0.1808 0.7020 0.1808
41 S 0.9332 0.9332 0.4463
42 S 0.8166 0.8166 0.3038
43 S 0.6836 0.6836 0.1961
44 S 0.3038 0.8166 0.8166
45 S 0.9462 0.4339 0.4339
46 S 0.4339 0.9462 0.4339
47 Ti 0.5001 0.5001 0.5001
48 S 0.1808 0.1808 0.7020
49 Ti 0.2495 0.2495 0.2495

(2)
## Ti8Cu3S16 (PBE)

Data for a relaxed Ti8Cu3S16 crystal.

Calculated values
corrected total energy (MP2020 scheme)	-180.76	eV/cell
density	3.8	g cm⁻³

abc: 8.9895 8.9895 5.8988
angles: 89.99 89.99 98.63
Sites, in units of the cell vectors:
1 S 0.7480 0.9985 0.8349
2 S 0.8755 0.8755 0.3363
3 S 0.0015 0.2520 0.1651
4 S 0.6267 0.6267 0.6687
5 S 0.7525 0.5012 0.1674
6 S 0.3768 0.8762 0.6680
7 S 0.6232 0.1238 0.3320
8 Ti 0.0000 0.5000 0.0000
9 Ti 0.6286 0.8797 0.4999
10 S 0.8762 0.3768 0.6680
11 Ti 0.3714 0.1203 0.5001
12 Ti 0.8797 0.6286 0.4999
13 S 0.2475 0.4988 0.8326
14 S 0.1245 0.1245 0.6637
15 Ti 0.1203 0.3714 0.5001
16 Ti 0.2525 0.2525 0.9934
17 S 0.4988 0.2475 0.8326
18 Cu 0.0000 0.0000 0.0000
19 S 0.9985 0.7480 0.8349
20 Cu 0.3709 0.6291 0.5000
21 S 0.2520 0.0015 0.1651
22 S 0.5012 0.7525 0.1674
23 S 0.3733 0.3733 0.3313
24 Ti 0.7475 0.7475 0.0066
25 S 0.1238 0.6232 0.3320
26 Cu 0.6291 0.3709 0.5000
27 Ti 0.5000 0.0000 0.0000

(3)
## TlCu2S2 (PBE)

Data for a relaxed TlCu2S2 crystal.

Calculated values
corrected total energy (MP2020 scheme)	-21.11	eV/cell
density	6.7	g cm⁻³

abc: 7.3367 7.3367 7.3367
angles: 150.14 150.14 42.73
Sites, in units of the cell vectors:
1 S 0.3525 0.3525 0.0000
2 Cu 0.7500 0.2500 0.5000
3 S 0.6475 0.6475 0.0000
4 Cu 0.2500 0.7500 0.5000
5 Tl 0.0000 0.0000 0.0000

(4)
## TlCu3S2 (PBE)

Data for a relaxed TlCu3S2 crystal.

Calculated values
corrected total energy (MP2020 scheme)	-50.41	eV/cell
*/
However, the claim in question here does point out one application of the “M or T” test; it would eliminate patents on simple games. Under the courts’ interpretation of section 101, games are patentable, and that includes games as simple as tag or “rock, paper, scissors.” In contrast, the EPC cuts right to the chase and bars patents on “schemes, rules and methods for performing mental acts, playing games or doing business, and programs for computers.” Art. 22. See, Paul Cole, “Fundamentals of Patent Drafting”, CIPA (2006) at Ch. 4.